[1]
Formula: C7H18O3S
Source: the OMol25 dataset
Level of theory: ωB97M-V with the def2-TZVPD basis set

The value obtained for the lowest unoccupied orbital energy is -0.52 eV. As for the HOMO-LUMO gap: 5.674 eV. As for the HOMO energy: -6.19 eV. Its charge is 0.

Each line ends with the Mulliken charge.
CARTESIAN COORDINATES (ANGSTROEM)
C: 3.49877 -0.33849 1.14994  -1.39
C: 2.35068 0.24820 0.32109  0.86
O: 2.65650 1.58517 -0.05400  -0.59
C: 2.16819 -0.60184 -0.94089  -1.00
S: 1.06376 0.08531 -2.16096  0.02
C: -0.54433 0.19786 -1.35294  -0.47
C: -0.95931 -1.08413 -0.59942  -0.90
C: -1.52574 -0.68378 0.77102  -0.62
C: -3.05531 -0.62220 0.71476  -0.67
O: -3.51964 0.35407 1.57294  -0.59
H: 4.21866 0.44632 1.36821  0.34
H: 4.02890 -1.12270 0.60559  0.36
H: 3.13490 -0.79176 2.06933  0.36
H: 1.44058 0.21752 0.92504  -0.01
H: 1.90280 2.16138 0.12612  0.37
H: 3.12475 -0.66755 -1.46534  0.54
H: 1.85490 -1.61540 -0.70654  0.49
H: 1.50112 1.35192 -2.13300  0.25
H: -0.53604 1.06538 -0.69443  0.41
H: -1.24940 0.42579 -2.15163  0.44
H: -1.75243 -1.53950 -1.19362  0.52
H: -0.17546 -1.83409 -0.50445  0.40
H: -1.18397 -1.35365 1.56200  0.38
H: -1.22375 0.33629 1.01230  0.35
H: -3.34179 -0.39690 -0.32469  0.28
H: -3.50975 -1.58398 0.97571  0.39
H: -3.12310 1.20157 1.17084  0.34
O: -3.15374 2.36281 -0.10597  -1.06
H: -4.09075 2.19638 0.04298  0.19

---

[2]
Formula: C30H63AsF6NO12S6
Source: the OMol25 dataset
Level of theory: ωB97M-V with the def2-TZVPD basis set

The value obtained for the lowest unoccupied orbital energy is 1.67 eV. As for the HOMO-LUMO gap: 8.989 eV. As for the HOMO energy: -7.32 eV. Its charge is -1.

Each line ends with the Mulliken charge.
CARTESIAN COORDINATES (ANGSTROEM)
As: -0.55720 0.04213 3.41532  1.99
F: -1.94645 0.44667 4.45204  -0.49
F: 0.09441 -0.99124 4.74197  -0.50
F: 0.84993 -0.36882 2.33205  -0.51
F: -1.36173 1.13260 2.20284  -0.51
F: 0.35931 1.44237 4.03436  -0.48
F: -1.42672 -1.44896 2.88766  -0.50
C: 10.58320 4.15355 -2.26438  -1.28
C: 9.12579 3.84259 -2.30678  -0.53
N: 8.87556 2.65489 -1.45080  0.22
C: 7.48581 2.46476 -0.97279  -0.37
C: 7.30958 3.42929 0.17847  -1.22
C: 9.45697 1.47029 -2.18429  -0.45
C: 9.76547 0.20517 -1.33003  -1.34
H: 11.16253 3.59226 -2.99746  0.33
H: 11.01716 3.96513 -1.28241  0.32
H: 10.77514 5.19158 -2.53593  0.42
H: 8.61455 4.72198 -1.91510  0.37
H: 8.68974 3.77126 -3.30322  0.32
H: 6.76865 2.69327 -1.76117  0.26
H: 7.36344 1.45559 -0.57947  0.30
H: 7.98451 3.14559 0.98598  0.29
H: 7.49432 4.48688 -0.00986  0.31
H: 6.31689 3.24045 0.58712  0.40
H: 10.41085 1.80388 -2.59283  0.26
H: 8.90511 1.20542 -3.08619  0.33
H: 8.87295 -0.40111 -1.17532  0.33
H: 10.29536 0.50687 -0.42653  0.30
H: 10.52413 -0.39842 -1.82825  0.43
C: -7.98244 4.07575 -2.24397  -0.66
C: -8.17327 3.41762 -0.86220  -0.52
C: -9.68499 2.94713 -0.94963  -0.69
S: -10.59258 4.40304 -1.63989  1.05
O: -11.16482 5.24661 -0.58990  -0.63
O: -11.42960 3.91260 -2.74810  -0.64
C: -9.06581 5.17957 -2.39803  -0.70
H: -8.08951 3.46831 -3.14267  0.32
H: -7.00013 4.52537 -2.38891  0.36
H: -7.86341 4.02012 -0.00833  0.30
H: -7.50629 2.55810 -0.79537  0.31
H: -10.27365 2.60859 -0.09701  0.41
H: -9.77458 2.24406 -1.77773  0.33
H: -8.84162 5.97783 -1.69048  0.34
H: -9.39154 5.68633 -3.30643  0.42
C: 2.34677 0.08820 -7.61944  -0.64
C: 2.64972 0.45550 -6.16114  -0.57
C: 1.28175 0.65743 -5.49408  -0.74
S: 0.17916 1.43107 -6.74693  1.06
O: 0.19375 2.88936 -6.43936  -0.65
O: -1.00202 0.61557 -6.75292  -0.62
C: 1.28493 1.09851 -8.10094  -0.60
H: 1.88975 -0.90082 -7.58695  0.31
H: 3.25017 0.01041 -8.22436  0.34
H: 3.29818 1.32631 -6.25743  0.30
H: 3.16309 -0.27695 -5.53820  0.32
H: 1.23881 1.08221 -4.49118  0.43
H: 0.86792 -0.33022 -5.29066  0.36
H: 1.85530 1.99868 -8.33001  0.31
H: 0.57172 0.89534 -8.89979  0.40
C: -6.32743 -3.93034 -1.21839  -0.63
C: -6.56776 -5.49846 -1.15181  -0.59
C: -5.19938 -6.09160 -1.42629  -0.74
S: -4.51230 -5.17616 -2.91817  1.03
O: -5.08338 -5.68148 -4.18958  -0.62
O: -3.06489 -4.95742 -2.74990  -0.62
Could you retype only the lines above with the word "Mulliken" in them?
Each line ends with the Mulliken charge.
Each line ends with the Mulliken charge.